Search the block further down for the word "meV" and write out each line that has it.

/*
1.
{"formula": "Ce4Tl3Bi", "functional": "PBE", "state": "relaxed", "crystal_system": "orthorhombic", "e_form_kcal_per_mol_atoms": -1.9, "cell": [[-2.144, 3.940, 7.519], [2.144, -3.940, 7.519], [2.144, 3.940, -7.519]], "species": ["Ce", "Ce", "Ce", "Ce", "Tl", "Tl", "Tl", "Bi"], "fractional_positions": [[0.042, 0.862, 0.180], [0.319, 0.138, 0.180], [0.681, 0.862, 0.820], [0.958, 0.138, 0.820], [0.000, 0.500, 0.500], [0.332, 0.332, 0.000], [0.668, 0.668, 0.000], [0.500, 0.000, 0.500]]}

2.
{"formula": "Tl2CuSi", "functional": "PBE", "state": "relaxed", "crystal_system": "trigonal", "raw_formation_energy_ev_per_atom": 0.155, "cell": [[2.040, 1.178, 6.883], [-2.040, 1.178, 6.883], [0.000, -2.355, 6.883]], "species": ["Tl", "Tl", "Cu", "Si"], "fractional_positions": [[0.000, 0.000, 0.000], [0.196, 0.196, 0.196], [0.433, 0.433, 0.433], [0.764, 0.764, 0.764]]}

----------

No. 1
Material: BeSb
Method: DFT, PBE
State: optimized geometry

a = 3.3479 Å, b = 3.3479 Å, c = 23.8093 Å
α = 90.00°, β = 90.00°, γ = 120.00°
With the nearest neighbours (Å) after each atom.
Sites, in units of the cell vectors:
Be: 0.0000 0.0000 0.1413  3 Be 2.28
Be: 0.0000 0.0000 0.8587  3 Be 2.28
Be: 0.3333 0.6667 0.5253  3 Be 2.28
Be: 0.3333 0.6667 0.8080  3 Be 2.28
Be: 0.6667 0.3333 0.1920  3 Be 2.28
Be: 0.6667 0.3333 0.4747  3 Be 2.28
Sb: 0.0000 0.0000 0.4003  3 Be 2.62
Sb: 0.0000 0.0000 0.5997  3 Be 2.62
Sb: 0.3333 0.6667 0.0670  3 Be 2.62
Sb: 0.3333 0.6667 0.2663  3 Be 2.62
Sb: 0.6667 0.3333 0.7337  3 Be 2.62
Sb: 0.6667 0.3333 0.9330  3 Be 2.62

DFT total energy in eV/atom: -3.32
ΔE_f (raw) in meV/atom: 600
Magnetic moment in μB/atom: 0.0000
Offset from the most stable computed form in meV/atom: 430.9

=====

No. 2
Material: BeSb3
Method: DFT, PBE
State: optimized geometry

a = 5.0202 Å, b = 5.0202 Å, c = 7.5134 Å
α = 90.00°, β = 90.00°, γ = 90.00°
With the nearest neighbours (Å) after each atom.
Sites, in units of the cell vectors:
Be: 0.0000 0.0000 0.0000  8 Sb 3.14
Be: 0.5000 0.5000 0.5000  8 Sb 3.14
Sb: 0.0000 0.0000 0.5000  8 Sb 3.14
Sb: 0.0000 0.5000 0.2500  4 Be 3.14, 4 Sb 3.14
Sb: 0.0000 0.5000 0.7500  4 Sb 3.14, 4 Be 3.14
Sb: 0.5000 0.0000 0.2500  4 Be 3.14, 4 Sb 3.14
Sb: 0.5000 0.0000 0.7500  4 Sb 3.14, 4 Be 3.14
Sb: 0.5000 0.5000 0.0000  8 Sb 3.14

DFT total energy in eV/atom: -3.42
ΔE_f (raw) in meV/atom: 605
Magnetic moment in μB/atom: 0.0000
Offset from the most stable computed form in meV/atom: 348.2

=====

No. 3
Material: Be5Sb
Method: DFT, PBE
State: optimized geometry

a = 3.3360 Å, b = 2.9622 Å, c = 14.6016 Å
α = 90.00°, β = 90.00°, γ = 90.00°
With the nearest neighbours (Å) after each atom.
Sites, in units of the cell vectors:
Be: 0.0000 0.0000 0.0000  8 Be 2.16-2.35
Be: 0.0000 0.0000 0.2209  4 Be 2.22-2.29
Be: 0.0000 0.0000 0.6078  10 Be 2.16-2.23
Be: 0.0000 0.5000 0.1078  10 Be 2.16-2.23
Be: 0.0000 0.5000 0.5000  8 Be 2.16-2.35
Be: 0.0000 0.5000 0.7209  4 Be 2.22-2.29
Be: 0.5000 0.0000 0.1137  10 Be 2.16-2.35
Be: 0.5000 0.0000 0.5064  8 Be 2.16-2.23
Be: 0.5000 0.5000 0.0064  8 Be 2.16-2.23
Be: 0.5000 0.5000 0.6137  10 Be 2.16-2.35
Sb: 0.5000 0.0000 0.8486  8 Be 2.74-2.91, 2 Sb 2.96
Sb: 0.5000 0.5000 0.3486  8 Be 2.74-2.91, 2 Sb 2.96

DFT total energy in eV/atom: -3.38
ΔE_f (raw) in meV/atom: 415
Magnetic moment in μB/atom: 0.0000
Offset from the most stable computed form in meV/atom: 154.2

=====

No. 4
Material: BeSb
Method: DFT, PBE
State: optimized geometry

a = 5.6344 Å, b = 5.6344 Å, c = 5.6344 Å
α = 90.00°, β = 90.00°, γ = 90.00°
With the nearest neighbours (Å) after each atom.
Sites, in units of the cell vectors:
Be: 0.0000 0.0000 0.0000  4 Sb 2.44
Be: 0.0000 0.5000 0.5000  4 Sb 2.44
Be: 0.5000 0.0000 0.5000  4 Sb 2.44
Be: 0.5000 0.5000 0.0000  4 Sb 2.44
Sb: 0.2500 0.2500 0.7500  4 Be 2.44
Sb: 0.2500 0.7500 0.2500  4 Be 2.44
Sb: 0.7500 0.2500 0.2500  4 Be 2.44
Sb: 0.7500 0.7500 0.7500  4 Be 2.44

DFT total energy in eV/atom: -3.60
ΔE_f (raw) in meV/atom: 321
Magnetic moment in μB/atom: 0.0000
*/

ΔE_f (raw) in meV/atom: 600
Offset from the most stable computed form in meV/atom: 430.9
ΔE_f (raw) in meV/atom: 605
Offset from the most stable computed form in meV/atom: 348.2
ΔE_f (raw) in meV/atom: 415
Offset from the most stable computed form in meV/atom: 154.2
ΔE_f (raw) in meV/atom: 321